“Positive thinking” is not the Gospel. It’s not even Biblical. Now don’t get me wrong, I do believe in “positive thinking” and based on my experiences and common sense; positive thinking is beneficial. It is good in itself. Plus, it improves our health and brightens our day when everything around us seems to make us fall apart. It is good in itself, neither bad nor good – neutrally alright like drug and wine (but slightly good than bad).
Why I equate “positive thinking” with drug and wine? Well, as we all know, excessive drug and drunkenness is bad, or more accurately in Biblical term – it is sin. Those who are too absorb, fanatic with “positive thinking” (or whatever kind of thinking except one) will eventually believe and have faith in other thing or with oneself rather than in the Lord Jesus, the Master and the King over our body, mind and soul. This is offensive statements to write, but as Christ followers who have surrendered joyfully everything of us to Him shouldn’t ignore this warning lightly.
Unrelated to this article: calculated crystals =
- - -
1.
Compound: RbFeP2H2O8
Source: the Materials Project database
Functional: PBE+U
Structure: optimized geometry

Values from the calculation:
space-group type: R-3c (167)
final energy: -6.472 eV per atom

abc: 18.4743 18.4743 18.4743
angles: 25.97 25.97 25.97
Closest atoms and distances in Å follow each position.
Atoms (fractional coordinates):
Rb  0.1671  0.1671  0.1671  3 O 3.00, 3 H 3.33
Rb  0.2500  0.2500  0.2500  12 O 3.09-3.33, 6 H 3.31
Rb  0.3329  0.3329  0.3329  3 O 3.00, 3 H 3.33
Rb  0.6671  0.6671  0.6671  3 O 3.00, 3 H 3.33
Rb  0.7500  0.7500  0.7500  12 O 3.09-3.33, 6 H 3.31
Rb  0.8329  0.8329  0.8329  3 O 3.00, 3 H 3.33
Fe  0.0000  0.0000  0.0000  6 O 2.02
Fe  0.0862  0.0862  0.0862  6 O 2.01-2.06
Fe  0.4138  0.4138  0.4138  6 O 2.01-2.06
Fe  0.5000  0.5000  0.5000  6 O 2.02
Fe  0.5862  0.5862  0.5862  6 O 2.01-2.06
Fe  0.9138  0.9138  0.9138  6 O 2.01-2.06
P  0.0986  0.7405  0.2991  4 O 1.52-1.62
P  0.2009  0.7595  0.4014  4 O 1.52-1.62
P  0.2405  0.5986  0.7991  4 O 1.52-1.62
P  0.2595  0.7009  0.9014  4 O 1.52-1.62
P  0.2991  0.0986  0.7405  4 O 1.52-1.62
P  0.4014  0.2009  0.7595  4 O 1.52-1.62
P  0.5986  0.7991  0.2405  4 O 1.52-1.62
P  0.7009  0.9014  0.2595  4 O 1.52-1.62
P  0.7405  0.2991  0.0986  4 O 1.52-1.62
P  0.7595  0.4014  0.2009  4 O 1.52-1.62
P  0.7991  0.2405  0.5986  4 O 1.52-1.62
P  0.9014  0.2595  0.7009  4 O 1.52-1.62
H  0.0142  0.4200  0.9264  1 O 1.02
H  0.0736  0.9858  0.5800  1 O 1.02
H  0.0800  0.4858  0.5736  1 O 1.02
H  0.4200  0.9264  0.0142  1 O 1.02
H  0.4264  0.9200  0.5142  1 O 1.02
H  0.4858  0.5736  0.0800  1 O 1.02
H  0.5142  0.4264  0.9200  1 O 1.02
H  0.5736  0.0800  0.4858  1 O 1.02
H  0.5800  0.0736  0.9858  1 O 1.02
H  0.9200  0.5142  0.4264  1 O 1.02
H  0.9264  0.0142  0.4200  1 O 1.02
H  0.9858  0.5800  0.0736  1 O 1.02
O  0.0040  0.0918  0.7081  1 P 1.54
O  0.0074  0.3851  0.4852  1 H 1.02
O  0.0148  0.1149  0.4926  1 H 1.02
O  0.0889  0.7928  0.1813  1 P 1.52
O  0.0918  0.7081  0.0040  1 P 1.54
O  0.1100  0.8041  0.7543  1 P 1.55, 1 H 1.58
O  0.1149  0.4926  0.0148  1 H 1.02
O  0.1813  0.0889  0.7928  1 P 1.52
O  0.1959  0.2457  0.8900  1 P 1.55, 1 H 1.58
O  0.2072  0.8187  0.9111  1 P 1.52
O  0.2081  0.5918  0.5040  1 P 1.54
O  0.2457  0.8900  0.1959  1 P 1.55, 1 H 1.58
O  0.2543  0.3041  0.6100  1 P 1.55, 1 H 1.58
O  0.2919  0.9960  0.9082  1 P 1.54
O  0.2928  0.5889  0.6813  1 P 1.52
O  0.3041  0.6100  0.2543  1 P 1.55, 1 H 1.58
O  0.3187  0.7072  0.4111  1 P 1.52
O  0.3851  0.4852  0.0074  1 H 1.02
O  0.3900  0.7457  0.6959  1 P 1.55, 1 H 1.58
O  0.4082  0.4960  0.7919  1 P 1.54
O  0.4111  0.3187  0.7072  1 P 1.52
O  0.4852  0.0074  0.3851  1 H 1.02
O  0.4926  0.0148  0.1149  1 H 1.02
O  0.4960  0.7919  0.4082  1 P 1.54
O  0.5040  0.2081  0.5918  1 P 1.54
O  0.5074  0.9852  0.8851  1 H 1.02
O  0.5148  0.9926  0.6149  1 H 1.02
O  0.5889  0.6813  0.2928  1 P 1.52
O  0.5918  0.5040  0.2081  1 P 1.54
O  0.6100  0.2543  0.3041  1 P 1.55, 1 H 1.58
O  0.6149  0.5148  0.9926  1 H 1.02
- - -
So much for the calculated crystals =
Why I say excessive, too absorb, fanatic “positive thinking” is a sin? Well, “positive thinking” doesn’t deal with human sinfulness; it diverts the attention to some other things and thus, no personal responsibilities and repentance requires. It doesn’t solve the problem. Only avoid it. Any “negative thinking” will be labeled as bad for our self-esteem, destroy our self-image and comes from the Devil – but that are not entirely true. God may speak to us through “negative” thinking, events and circumstances in our lives. When we commit sin, the Holy Spirit may touch our heart so that we’ll feel guilty and at the same time convince us to repent from our sin. When we cheating on someone, when we hate someone, when we tells lies to someone – we ought to feel bad about it and that require us to have “negative thinking” in our own self-righteous thinking.
Furthermore, the faith of “positive thinking” is in the things positive but not exclusively to God. It may include God as its object (initially) but not the only one. “Positive thinking” is like polytheism religious, ‘belief in or worship of more than one god’ because the centers of its faith are in anything, whatever positive. What I concern about this kind of (excessive) thinking is that ‘Christians’ may unconsciously but genuinely believe and have their center of faith in themselves. Deceived in their thinking, they thought that ‘God’ is the center of their faith, but further from the truth – it is in ‘themselves’. This is idolatry. Therefore, it is sinful.
The Bible doesn’t teach “positive thinking”; God’s Word teaches “God-ward thinking”. It is not void and abstract faith; it is clear and single – true faith in God of the Bible. Anything “positive” is not necessary right. And if it seems right for us, it may not right in God's sight. The standard measurement of rights and wrongs for Christ followers is according to the Bible. No matter how “positive” our thinking about certain things or events maybe, if it doesn’t match with Biblical principles, it is still wrong and against the will of God.
“God-ward thinking” doesn’t subtract the “negative” but include it in our thinking and examine the “negative” in the light of the Scriptures. We ought to see problems or circumstances as it is. It sees all things wholistically – inside out – the “positive” and “negative” part together. Then we ask questions: what, when, where, why, who and how. And relates all these thoughts to God, asks God to examine our feelings, bring it all in our prayer to God, asks God for strengths and faith. This process of “God-ward thinking” might hurt us, confront our pride, and may tear down our self-esteem for a moment. But compare all these in a long-term perspectives (or better, in eternal perspective), you’ll be glad and rejoice that you obey God’s prompting Spirit to think “God-ward thinking”.
This is God’s gracious blessing for His children.
~~~
(1)
Na42Ta8Zn16Si21S15O144 (GGA-PBE, relaxed); theoretical density = 3.5 g cm⁻³; M_tot = 0.000 μB per cell; energy of formation from the pure elements = -2.426 eV per atom
1.0
9.1068 0.0000 0.0000
0.0249 15.8721 0.0000
0.0199 0.0249 22.3433
Na Ta Zn Si S O
42 8 16 21 15 144
Direct
0.0000 0.0000 0.0000
0.0004 0.6630 0.3454
0.0314 0.3208 0.9988
0.0430 0.9727 0.3510
0.0506 0.0058 0.6770
0.0535 0.3573 0.3433
0.0546 0.6715 0.0087
0.1574 0.1739 0.5124
0.1637 0.5065 0.1725
0.1651 0.8563 0.8468
0.1737 0.4745 0.8561
0.1849 0.8180 0.4988
0.2151 0.1635 0.8490
0.2160 0.5021 0.4985
0.3468 0.3393 0.9220
0.3470 0.3413 0.4202
0.3575 0.6601 0.5894
0.3605 0.9978 0.7592
0.3615 0.9921 0.2546
0.3707 0.6681 0.0875
0.4834 0.1618 0.3362
0.4922 0.5103 0.0079
0.5035 0.8417 0.6797
0.5173 0.8136 0.0121
0.5320 0.4769 0.3453
0.5452 0.8568 0.3353
0.5494 0.1708 0.0157
0.5669 0.5101 0.6754
0.6538 0.0086 0.1718
0.6685 0.6709 0.5142
0.6774 0.3603 0.8396
0.6869 0.9771 0.8489
0.7016 0.3242 0.5112
0.7191 0.3429 0.1769
0.7352 0.0045 0.5035
0.7379 0.6587 0.8466
0.8546 0.4929 0.7592
0.8574 0.4982 0.2549
0.8589 0.1695 0.5925
0.8608 0.1600 0.0872
0.8702 0.8363 0.4200
0.8705 0.8365 0.9221
0.3524 0.3351 0.0837
0.3561 0.6656 0.2401
0.3667 0.3341 0.5752
0.3695 0.6632 0.7396
0.8465 0.8286 0.0712
0.8492 0.1619 0.2386
0.8609 0.1662 0.7418
0.8671 0.8342 0.5835
0.3469 0.9887 0.9213
0.3495 0.6564 0.4352
0.3507 0.9856 0.4049
0.3546 0.3399 0.2671
0.3548 0.9943 0.6144
0.3603 0.3385 0.7836
0.3606 0.6575 0.9538
0.3826 0.9868 0.1120
0.8371 0.4870 0.6127
0.8545 0.5011 0.1098
0.8591 0.8391 0.2818
0.8608 0.8400 0.7684
0.8646 0.4987 0.9121
0.8695 0.1569 0.9370
0.8728 0.1581 0.4492
0.8737 0.4883 0.4181
0.0061 0.3486 0.5119
0.0081 0.3116 0.8478
0.0108 0.0126 0.8448
0.0575 0.3307 0.1833
0.0696 0.9956 0.5139
0.1507 0.4935 0.0145
0.1602 0.8292 0.6832
0.2072 0.5132 0.3451
0.2094 0.8093 0.3471
0.2117 0.8505 0.0124
0.4915 0.1822 0.1826
0.5063 0.5171 0.8490
0.5156 0.4825 0.1834
0.5638 0.5030 0.5092
0.5677 0.8295 0.1844
0.6525 0.3283 0.6841
0.6545 0.0036 0.0092
0.7031 0.9837 0.6814
0.7095 0.0188 0.3510
0.7153 0.6405 0.0086
0.7259 0.6823 0.6826
0.0016 0.6476 0.5141
0.0067 0.6878 0.1814
0.0075 0.9785 0.1798
0.0734 0.6656 0.8445
0.1488 0.1654 0.3452
0.2121 0.1869 0.6809
0.2124 0.4785 0.6793
0.2169 0.1477 0.0142
0.5010 0.1467 0.5125
0.5048 0.8087 0.8450
0.5158 0.8488 0.5126
0.5685 0.1629 0.8453
0.6494 0.6627 0.3456
0.7033 0.3469 0.0128
0.7146 0.3072 0.3461
0.0128 0.4042 0.4501
0.0253 0.5127 0.3452
0.0299 0.8413 0.0282
0.0306 0.8162 0.3394
0.0426 0.1592 0.2930
0.0439 0.1796 0.6814
0.0459 0.8162 0.6233
0.0559 0.1632 0.0116
0.0557 0.5035 0.0752
0.0577 0.4691 0.9541
0.0587 0.4941 0.6684
0.0630 0.8484 0.7407
0.0652 0.1773 0.4013
0.1520 0.3470 0.2420
0.1591 0.6758 0.8994
0.1612 0.9958 0.1709
0.1625 0.6629 0.5116
0.1646 0.9755 0.4530
0.1683 0.0105 0.5734
0.1738 0.3156 0.1244
0.1760 0.6808 0.1825
0.1806 0.6628 0.7907
0.1868 0.3154 0.8388
0.1891 0.3337 0.5264
0.1919 0.0127 0.8439
0.2051 0.9064 0.9501
0.2340 0.0859 0.3444
~~~
# Here the article continues
So preachers & pastors, full-time workers & Church leaders, Bible study instructors & Sunday school teachers, Christian book writers & singers, think “God-ward thinking” in your words and actions. Don’t fall for something less (“positive thinking”) than something greatly awesome (“God-ward thinking”). Let the secular teachers and motivational speakers do that for others. They have done a great job doing it and we must not imitate them, even in the name of winning others for Christ. If we want to win other for Christ, rely on God’s Holy Spirit and win them by the power of God – not by the power of positive thinking. I’m not saying that we shouldn’t think positive and stop being optimist, but rather let us talks and preaches what is utmost important, what is essentially needed today, namely, to think “God-ward thinking”. Apart from this, we have no other businesses.

I totally Agree!
ReplyDelete100% agree with this article . I was searching "positive attitude more sins" in google and came here . My wife talks all about positive thinking , more than what bible says . This causes a development of self loathing attitude . So person just feels and thinks positive no matter how many sin he commits . We should look at god and his words and not to positive attitude .